Brief.
Repeat the whole of the calculation results below character by character.

Given.
+++
Mg2Pt3S | PBE | optimized geometry

Properties
Final energy ... -26.27 eV per cell
Magnetic moment ... 0.16 μB/atom
Calculated density ... 9.86 g cm⁻³

a b c (Å): 5.3082 5.3082 4.5978
angles (deg): 90.00 90.00 120.00
Closest atoms and distances in Å follow each position.
Space group P6/mmm (No. 191)
Inequivalent atoms, fractional coordinates:
Mg 0.3333 0.6667 0.0000  6 Pt 2.76, 3 S 3.06, 3 Mg 3.06
Pt 0.0000 0.5000 0.5000  4 Pt 2.65, 4 Mg 2.76
S 0.0000 0.0000 0.0000  6 Mg 3.06



PmHgAsO | PBE | optimized geometry

Properties
Final energy ... -38.97 eV per cell
Magnetic moment ... 0.00 μB/atom
Calculated density ... 7.93 g cm⁻³

a b c (Å): 4.8318 5.4770 6.9084
angles (deg): 90.00 90.00 90.00
Closest atoms and distances in Å follow each position.
Space group Pmc2_1 (No. 26)
Inequivalent atoms, fractional coordinates:
Pm 0.0000 0.1034 0.0000  2 O 2.23-2.24
Hg 0.5000 0.4207 0.4068  2 As 2.57-2.58, 2 O 2.73
As 0.5000 0.1703 0.7216  2 Hg 2.57-2.58
O 0.0000 0.2249 0.3097  2 Pm 2.23-2.24



Ho3Ge4Os2 | PBE | optimized geometry

Properties
Final energy ... -120.59 eV per cell
Magnetic moment ... 0.00 μB/atom
Calculated density ... 10.91 g cm⁻³

a b c (Å): 10.6696 4.3571 8.1205
angles (deg): 90.00 109.87 90.00
Closest atoms and distances in Å follow each position.
Space group C2/m (No. 12)
Inequivalent atoms, fractional coordinates:
Ho 0.0000 0.0000 0.0000  8 Ge 3.06-3.33
Ho 0.1224 0.5000 0.6985  7 Ge 2.90-3.17, 4 Os 3.01-3.18
Ge 0.0907 0.0000 0.4040  3 Os 2.45-2.54
Ge 0.2132 0.5000 0.0786  1 Os 2.43
Os 0.1798 0.5000 0.3603  4 Ge 2.43-2.54



Question: Which of these has the highest final energy?
Answer: Mg2Pt3S

~~~~~

Run a
DFT (GGA-PBE) results for a relaxed structure of Li2MgTl2.

Summary:
total magnetic moment: 0.00 μB per formula unit
space group: No. 127

Cell lengths 7.7336, 7.7336, 3.5875 Å; angles 90.00, 90.00, 90.00 degrees
Atoms (fractional coordinates):
Li (0.1313, 0.3687, 0.0000)
Mg (0.0000, 0.0000, 0.0000)
Tl (0.3337, 0.1663, 0.5000)
Li (0.3687, 0.8687, 0.0000)
Tl (0.1663, 0.6663, 0.5000)
Tl (0.8337, 0.3337, 0.5000)
Tl (0.6663, 0.8337, 0.5000)
Mg (0.5000, 0.5000, 0.0000)
Li (0.6313, 0.1313, 0.0000)
Li (0.8687, 0.6313, 0.0000)
+++

Outcome.
Mg2Pt3S | PBE | optimized geometry

Properties
Final energy ... -26.27 eV per cell
Magnetic moment ... 0.16 μB/atom
Calculated density ... 9.86 g cm⁻³

a b c (Å): 5.3082 5.3082 4.5978
angles (deg): 90.00 90.00 120.00
Closest atoms and distances in Å follow each position.
Space group P6/mmm (No. 191)
Inequivalent atoms, fractional coordinates:
Mg 0.3333 0.6667 0.0000  6 Pt 2.76, 3 S 3.06, 3 Mg 3.06
Pt 0.0000 0.5000 0.5000  4 Pt 2.65, 4 Mg 2.76
S 0.0000 0.0000 0.0000  6 Mg 3.06



PmHgAsO | PBE | optimized geometry

Properties
Final energy ... -38.97 eV per cell
Magnetic moment ... 0.00 μB/atom
Calculated density ... 7.93 g cm⁻³

a b c (Å): 4.8318 5.4770 6.9084
angles (deg): 90.00 90.00 90.00
Closest atoms and distances in Å follow each position.
Space group Pmc2_1 (No. 26)
Inequivalent atoms, fractional coordinates:
Pm 0.0000 0.1034 0.0000  2 O 2.23-2.24
Hg 0.5000 0.4207 0.4068  2 As 2.57-2.58, 2 O 2.73
As 0.5000 0.1703 0.7216  2 Hg 2.57-2.58
O 0.0000 0.2249 0.3097  2 Pm 2.23-2.24



Ho3Ge4Os2 | PBE | optimized geometry

Properties
Final energy ... -120.59 eV per cell
Magnetic moment ... 0.00 μB/atom
Calculated density ... 10.91 g cm⁻³

a b c (Å): 10.6696 4.3571 8.1205
angles (deg): 90.00 109.87 90.00
Closest atoms and distances in Å follow each position.
Space group C2/m (No. 12)
Inequivalent atoms, fractional coordinates:
Ho 0.0000 0.0000 0.0000  8 Ge 3.06-3.33
Ho 0.1224 0.5000 0.6985  7 Ge 2.90-3.17, 4 Os 3.01-3.18
Ge 0.0907 0.0000 0.4040  3 Os 2.45-2.54
Ge 0.2132 0.5000 0.0786  1 Os 2.43
Os 0.1798 0.5000 0.3603  4 Ge 2.43-2.54



Question: Which of these has the highest final energy?
Answer: Mg2Pt3S

~~~~~

Run a
DFT (GGA-PBE) results for a relaxed structure of Li2MgTl2.

Summary:
total magnetic moment: 0.00 μB per formula unit
space group: No. 127

Cell lengths 7.7336, 7.7336, 3.5875 Å; angles 90.00, 90.00, 90.00 degrees
Atoms (fractional coordinates):
Li (0.1313, 0.3687, 0.0000)
Mg (0.0000, 0.0000, 0.0000)
Tl (0.3337, 0.1663, 0.5000)
Li (0.3687, 0.8687, 0.0000)
Tl (0.1663, 0.6663, 0.5000)
Tl (0.8337, 0.3337, 0.5000)
Tl (0.6663, 0.8337, 0.5000)
Mg (0.5000, 0.5000, 0.0000)
Li (0.6313, 0.1313, 0.0000)
Li (0.8687, 0.6313, 0.0000)